friday giggle

There are plenty of dating sites out there, and it’s kind of entertaining to see how it’s the same people over and over at all of them… not that I’d know, or anything. It’s not a very innovative market, and the “innovations” are more to protect revenue streams at the pay-for-a-glimmer-of-hope sites than they are […]

some ideas should stay in people’s heads

Every morning I grab a cup of decaf and troll my favourite websites for news and oddities. Most of the time it’s an informative and entertaining experience, but every so often it’s just nasty. This morning was one of those mornings where a healthy appetite went out the window. Why? Battered, cheese-filled, bacon-wrapped, and fried […]

sunday night dinner

I miss having a regular sunday night dinner with the fam, and try and invite friends over as much as possible. tonight I bribed mike and jen (ok, I bribed Mike. I just have to make sure I keep chocolate in stock and I think Jen will be happy) over by ordering the sens vs. […]

### Attached: data records
'''
Below is MnRuF3 at its PBEsol-relaxed geometry, with properties calculated at the SCAN level.

For the energy, the calculation gives -14.163 eV per atom. The formation energy (no corrections) comes out at -1.423 eV/atom. As for the crystal system: cubic. The calculation puts the total magnetization at 7.99 μB per formula unit.

The space group is Pm-3m (No. 221) and the conventional cell measures 4.087, 4.087 and 4.087 Å, with angles of 90.00, 90.00 and 90.00 degrees. Symmetry generates all atoms from Mn at (0.000, 0.000, 0.000), Ru at (0.500, 0.500, 0.500) and F at (0.000, 0.000, 0.500).

=====

Below is Al3Pt2 at its PBEsol-relaxed geometry, with properties calculated at the SCAN level.

For the energy, the calculation gives -33.657 eV per atom. The value obtained for the formation energy is -928 meV/atom. As for the crystal system: orthorhombic. The calculation puts the total magnetization at 0.00 μB per formula unit.

The space group is Fdd2 (No. 43) and the conventional cell measures 9.466, 13.115 and 4.739 Å, with angles of 90.00, 90.00 and 90.00 degrees. Symmetry generates all atoms from Al at (0.000, 0.000, 0.000), Al at (0.046, 0.105, 0.487) and Pt at (0.037, 0.191, 0.971).

=====

Below is LaReH2N at its PBEsol-relaxed geometry, with properties calculated at the SCAN level.

For the energy, the calculation gives -24.270 eV per atom. As for the crystal system: tetragonal. The calculation puts the total magnetization at 2.69 μB per formula unit.

The space group is P4/mmm (No. 123) and the conventional cell measures 3.831, 3.831 and 4.721 Å, with angles of 90.00, 90.00 and 90.00 degrees. Symmetry generates all atoms from La at (0.000, 0.000, 0.000), Re at (0.500, 0.500, 0.000), H at (0.000, 0.500, 0.500) and N at (0.000, 0.000, 0.500).

=====

Below is NiAs2SO at its PBEsol-relaxed geometry, with properties calculated at the SCAN level.

For the energy, the calculation gives -14.108 eV per atom. The formation energy (no corrections) comes out at 0.374 eV/atom. As for the crystal system: tetragonal. The calculation puts the total magnetization at 0.00 μB per formula unit.

The space group is P4/mmm (No. 123) and the conventional cell measures 4.566, 4.566 and 3.564 Å, with angles of 90.00, 90.00 and 90.00 degrees. Symmetry generates all atoms from Ni at (0.000, 0.000, 0.000), As at (0.000, 0.500, 0.500), S at (0.500, 0.500, 0.000) and O at (0.000, 0.000, 0.500).

=====

Below is LaNbSi2Se at its PBEsol-relaxed geometry, with properties calculated at the SCAN level.

For the energy, the calculation gives -21.882 eV per atom. The formation energy (no corrections) comes out at 1.387 eV/atom. As for the crystal system: tetragonal. The calculation puts the total magnetization at 2.47 μB per formula unit.
'''

food as memory

a quick update: five (!!!) years have passed since I posted this, and the only thing that’s changed is one of the recipes 🙂 there is never enough time, and I wish she had been around to see all of the amazing things that have happened in the last five years. I have a beautiful […]


So, Ottawa fans… with your team surrendering three third-period leads in a row and losing all three games, are you concerned yet? You probably should be. In the playoffs, you don’t get points for tying through regulation.


As I’ve mentioned before, sometimes flickr spits out a gem. Sesselja is one of those talented people whose photostream is worth watching on a daily basis. She does great still life work, and her experiments with liquids are awesome (and the shots from around Iceland are equally compelling). At the risk of sounding a little, […]

time heals?

There’s an old adage that time heals all wounds. I don’t think it’s true. It doesn’t matter how many years pass, today always hurts. I miss ya.

wordpress 2.1.1 bad. upgrade now.

If anyone out there has upgraded to WordPress 2.1.1 recently, be advised there is potentially a wee problem with the code. The server the distribution package resided on was compromised, and the 2.1.1 package was modified to contain an exploit which allowed execution of code locally (which in turn could lead to your boxen getting […]

last weekend of winterlude

A friend of mine came up for the weekend to take in the last bit of Winterlude, Ottawa-Gatineau’s winter festival. Another friend of theirs came along, and they arrived just before midnight. We had “a” drink, which somehow stretched out to a couple bottles of wine and a 4:30 bedtime. Saturday was brunch at Woody’s […]

best hot chocolate

So, I tried a little bit of the hot chocolate from Les Saisons in Chelsea. I’m not a big chocolate fan, but omfg this was amazing. I was an idiot and didn’t buy my own cup, cuz I had a doctor pepper. Did I mention I was an idiot? Best hot chocolate I’ve ever had. […]